What to do >
It remains to type out the notes further down exactly.

Data >
'''
PBE CuH6Se2O8, optimized geometry; ΔE_f = -1.1941 eV per atom; E_tot = -171.7 eV/cell
1.0
-3.373 4.285 3.221
-3.947 -4.624 2.018
5.207 -1.483 7.425
O H Se Cu
16 12 4 2
Direct
0.666 0.505 0.751
0.211 0.717 0.474
0.779 0.799 0.928
0.953 0.905 0.201
0.721 0.799 0.428
0.279 0.201 0.572
0.711 0.283 0.026
0.453 0.095 0.299
0.789 0.283 0.526
0.547 0.905 0.701
0.221 0.201 0.072
0.834 0.505 0.251
0.166 0.495 0.749
0.334 0.495 0.249
0.047 0.095 0.799
0.289 0.717 0.974
0.709 0.358 0.931
0.282 0.570 0.339
0.791 0.358 0.431
0.291 0.642 0.069
0.209 0.642 0.569
0.068 0.774 0.459
0.568 0.226 0.041
0.218 0.570 0.839
0.932 0.226 0.541
0.718 0.430 0.661
0.432 0.774 0.959
0.782 0.430 0.161
0.727 0.768 0.243
0.773 0.768 0.743
0.273 0.232 0.757
0.227 0.232 0.257
0.500 0.000 0.500
0.000 0.000 0.000


PBE ReC6N9, optimized geometry; ΔE_f = 0.2821 eV per atom; E_tot = -270.2 eV/cell
1.0
7.455 0.868 0.000
10.916 7.528 0.000
0.000 0.000 11.408
C Re N
12 2 18
Direct
0.682 0.015 0.409
0.319 0.215 0.750
0.682 0.015 0.091
0.318 0.696 0.091
0.318 0.985 0.909
0.318 0.696 0.409
0.681 0.534 0.750
0.681 0.785 0.250
0.318 0.985 0.591
0.682 0.304 0.591
0.682 0.304 0.909
0.319 0.466 0.250
0.000 0.720 0.750
0.000 0.280 0.250
0.000 0.880 0.043
0.383 0.143 0.133
0.000 0.422 0.750
0.381 0.975 0.250
0.617 0.857 0.867
0.000 0.578 0.250
0.617 0.857 0.633
0.383 0.473 0.867
0.617 0.527 0.367
0.617 0.527 0.133
0.000 0.120 0.543
0.000 0.880 0.457
0.381 0.644 0.750
0.619 0.356 0.250
0.619 0.025 0.750
0.383 0.473 0.633
0.000 0.120 0.957
0.383 0.143 0.367


PBE CuH12C3S3N6Cl, optimized geometry; ΔE_f = -0.3557 eV per atom; E_tot = -1151.2 eV/cell
1.0
13.840 0.000 0.000
0.000 13.840 0.000
0.000 0.000 13.985
H N Cl C S Cu
96 48 8 24 24 8
Direct
0.044 0.020 0.126
0.039 0.165 0.910
0.313 0.150 0.451
0.001 0.545 0.843
0.557 0.732 0.680
0.268 0.443 0.820
0.139 0.230 0.230
0.230 0.139 0.770
0.711 0.781 0.349
0.999 0.455 0.343
0.961 0.835 0.410
0.005 0.327 0.345
0.413 0.749 0.293
0.350 0.813 0.201
0.281 0.789 0.599
0.781 0.711 0.651
0.768 0.062 0.864
0.544 0.480 0.124
0.211 0.719 0.901
0.335 0.539 0.660
0.719 0.211 0.099
0.443 0.268 0.180
0.985 0.200 0.186
0.062 0.768 0.136
0.232 0.938 0.364
0.687 0.850 0.951
0.251 0.587 0.207
0.369 0.515 0.397
0.515 0.700 0.564
0.789 0.281 0.401
0.232 0.943 0.930
0.665 0.461 0.160
0.813 0.350 0.799
0.730 0.361 0.480
0.495 0.827 0.405
0.861 0.770 0.730
0.249 0.087 0.543
0.913 0.751 0.957
0.150 0.313 0.549
0.751 0.913 0.043
0.955 0.501 0.593
0.131 0.015 0.353
0.219 0.289 0.151
0.995 0.673 0.845
0.749 0.413 0.707
0.639 0.270 0.020
0.289 0.219 0.849
0.327 0.005 0.655
0.650 0.187 0.701
0.455 0.999 0.657
0.485 0.300 0.064
0.268 0.438 0.386
0.943 0.232 0.070
0.732 0.557 0.320
0.438 0.268 0.614
0.200 0.985 0.814
0.361 0.730 0.520
0.485 0.631 0.103
0.770 0.861 0.270
0.827 0.495 0.595
0.835 0.961 0.590
0.165 0.039 0.090
0.587 0.251 0.793
0.850 0.687 0.049
0.520 0.456 0.376
0.938 0.232 0.636
0.087 0.249 0.457
0.300 0.485 0.936
0.499 0.045 0.907
0.173 0.505 0.095
0.015 0.131 0.647
0.956 0.980 0.626
0.768 0.057 0.430
0.505 0.173 0.905
0.187 0.650 0.299
0.456 0.520 0.624
0.869 0.985 0.853
0.985 0.869 0.147
0.270 0.639 0.980
0.673 0.995 0.155
0.501 0.955 0.407
0.515 0.369 0.603
0.020 0.044 0.874
0.057 0.768 0.570
0.015 0.800 0.686
0.980 0.956 0.374
0.631 0.485 0.897
0.545 0.001 0.157
0.539 0.335 0.340
0.700 0.515 0.436
0.461 0.665 0.840
0.800 0.015 0.314
0.732 0.562 0.886
0.562 0.732 0.114
0.480 0.544 0.876
0.045 0.499 0.093
0.348 0.763 0.585
0.393 0.022 0.625
0.812 0.398 0.744
0.552 0.659 0.117
0.002 0.772 0.619
0.110 0.993 0.109
0.688 0.898 0.006
0.898 0.688 0.994
0.498 0.272 0.131
0.448 0.341 0.617
0.763 0.348 0.415
0.272 0.498 0.869
0.507 0.610 0.859
0.398 0.812 0.256
0.237 0.652 0.915
0.102 0.312 0.494
0.772 0.002 0.381
0.998 0.228 0.119
0.978 0.607 0.875
0.312 0.102 0.506
0.152 0.263 0.165
0.188 0.602 0.244
0.522 0.107 0.875
0.728 0.502 0.369
0.993 0.110 0.891
0.228 0.998 0.881
0.737 0.848 0.335
0.502 0.728 0.631
0.263 0.152 0.835
0.052 0.841 0.133
'''

Here it is >
PBE CuH6Se2O8, optimized geometry; ΔE_f = -1.1941 eV per atom; E_tot = -171.7 eV/cell
1.0
-3.373 4.285 3.221
-3.947 -4.624 2.018
5.207 -1.483 7.425
O H Se Cu
16 12 4 2
Direct
0.666 0.505 0.751
0.211 0.717 0.474
0.779 0.799 0.928
0.953 0.905 0.201
0.721 0.799 0.428
0.279 0.201 0.572
0.711 0.283 0.026
0.453 0.095 0.299
0.789 0.283 0.526
0.547 0.905 0.701
0.221 0.201 0.072
0.834 0.505 0.251
0.166 0.495 0.749
0.334 0.495 0.249
0.047 0.095 0.799
0.289 0.717 0.974
0.709 0.358 0.931
0.282 0.570 0.339
0.791 0.358 0.431
0.291 0.642 0.069
0.209 0.642 0.569
0.068 0.774 0.459
0.568 0.226 0.041
0.218 0.570 0.839
0.932 0.226 0.541
0.718 0.430 0.661
0.432 0.774 0.959
0.782 0.430 0.161
0.727 0.768 0.243
0.773 0.768 0.743
0.273 0.232 0.757
0.227 0.232 0.257
0.500 0.000 0.500
0.000 0.000 0.000


PBE ReC6N9, optimized geometry; ΔE_f = 0.2821 eV per atom; E_tot = -270.2 eV/cell
1.0
7.455 0.868 0.000
10.916 7.528 0.000
0.000 0.000 11.408
C Re N
12 2 18
Direct
0.682 0.015 0.409
0.319 0.215 0.750
0.682 0.015 0.091
0.318 0.696 0.091
0.318 0.985 0.909
0.318 0.696 0.409
0.681 0.534 0.750
0.681 0.785 0.250
0.318 0.985 0.591
0.682 0.304 0.591
0.682 0.304 0.909
0.319 0.466 0.250
0.000 0.720 0.750
0.000 0.280 0.250
0.000 0.880 0.043
0.383 0.143 0.133
0.000 0.422 0.750
0.381 0.975 0.250
0.617 0.857 0.867
0.000 0.578 0.250
0.617 0.857 0.633
0.383 0.473 0.867
0.617 0.527 0.367
0.617 0.527 0.133
0.000 0.120 0.543
0.000 0.880 0.457
0.381 0.644 0.750
0.619 0.356 0.250
0.619 0.025 0.750
0.383 0.473 0.633
0.000 0.120 0.957
0.383 0.143 0.367


PBE CuH12C3S3N6Cl, optimized geometry; ΔE_f = -0.3557 eV per atom; E_tot = -1151.2 eV/cell
1.0
13.840 0.000 0.000
0.000 13.840 0.000
0.000 0.000 13.985
H N Cl C S Cu
96 48 8 24 24 8
Direct
0.044 0.020 0.126
0.039 0.165 0.910
0.313 0.150 0.451
0.001 0.545 0.843
0.557 0.732 0.680
0.268 0.443 0.820
0.139 0.230 0.230
0.230 0.139 0.770
0.711 0.781 0.349
0.999 0.455 0.343
0.961 0.835 0.410
0.005 0.327 0.345
0.413 0.749 0.293
0.350 0.813 0.201
0.281 0.789 0.599
0.781 0.711 0.651
0.768 0.062 0.864
0.544 0.480 0.124
0.211 0.719 0.901
0.335 0.539 0.660
0.719 0.211 0.099
0.443 0.268 0.180
0.985 0.200 0.186
0.062 0.768 0.136
0.232 0.938 0.364
0.687 0.850 0.951
0.251 0.587 0.207
0.369 0.515 0.397
0.515 0.700 0.564
0.789 0.281 0.401
0.232 0.943 0.930
0.665 0.461 0.160
0.813 0.350 0.799
0.730 0.361 0.480
0.495 0.827 0.405
0.861 0.770 0.730
0.249 0.087 0.543
0.913 0.751 0.957
0.150 0.313 0.549
0.751 0.913 0.043
0.955 0.501 0.593
0.131 0.015 0.353
0.219 0.289 0.151
0.995 0.673 0.845
0.749 0.413 0.707
0.639 0.270 0.020
0.289 0.219 0.849
0.327 0.005 0.655
0.650 0.187 0.701
0.455 0.999 0.657
0.485 0.300 0.064
0.268 0.438 0.386
0.943 0.232 0.070
0.732 0.557 0.320
0.438 0.268 0.614
0.200 0.985 0.814
0.361 0.730 0.520
0.485 0.631 0.103
0.770 0.861 0.270
0.827 0.495 0.595
0.835 0.961 0.590
0.165 0.039 0.090
0.587 0.251 0.793
0.850 0.687 0.049
0.520 0.456 0.376
0.938 0.232 0.636
0.087 0.249 0.457
0.300 0.485 0.936
0.499 0.045 0.907
0.173 0.505 0.095
0.015 0.131 0.647
0.956 0.980 0.626
0.768 0.057 0.430
0.505 0.173 0.905
0.187 0.650 0.299
0.456 0.520 0.624
0.869 0.985 0.853
0.985 0.869 0.147
0.270 0.639 0.980
0.673 0.995 0.155
0.501 0.955 0.407
0.515 0.369 0.603
0.020 0.044 0.874
0.057 0.768 0.570
0.015 0.800 0.686
0.980 0.956 0.374
0.631 0.485 0.897
0.545 0.001 0.157
0.539 0.335 0.340
0.700 0.515 0.436
0.461 0.665 0.840
0.800 0.015 0.314
0.732 0.562 0.886
0.562 0.732 0.114
0.480 0.544 0.876
0.045 0.499 0.093
0.348 0.763 0.585
0.393 0.022 0.625
0.812 0.398 0.744
0.552 0.659 0.117
0.002 0.772 0.619
0.110 0.993 0.109
0.688 0.898 0.006
0.898 0.688 0.994
0.498 0.272 0.131
0.448 0.341 0.617
0.763 0.348 0.415
0.272 0.498 0.869
0.507 0.610 0.859
0.398 0.812 0.256
0.237 0.652 0.915
0.102 0.312 0.494
0.772 0.002 0.381
0.998 0.228 0.119
0.978 0.607 0.875
0.312 0.102 0.506
0.152 0.263 0.165
0.188 0.602 0.244
0.522 0.107 0.875
0.728 0.502 0.369
0.993 0.110 0.891
0.228 0.998 0.881
0.737 0.848 0.335
0.502 0.728 0.631
0.263 0.152 0.835
0.052 0.841 0.133